2011-12 (十二月禱告信)



實在難以置信!2011年已經接近尾聲了。 這將是我們今年發給您的最後一封禱告信。神祝福的手托住了我們每天的生活與事工。感謝神在這一整年裡的賜福!


  • 由學生向他們自己的同學傳福音比大部分外來者容易得多。
  • 學生們喜歡自成一群。
  • 學生們對其他同學比外來者有更大的影響力。
  • 學生事工使生命改變。


  1. 建立一個使學生在兩年內成為有果效的同工的目標和計劃。
  2. 在學生接受基督為救主的同時,也向他們分享基督為生命之主。
  3. 藉著門徒造就班、浸禮班栽培學生成為門徒及同工。
  4. 學校上課期間,藉由本地教會和查經班的訓練聚會,繼續栽培學生成為門徒及同工。
  5. 大學放假期間,藉由密集的門徒訓練營,進一步栽培學生成為門徒及同工

以門徒訓練為前期及持續的帶領方式並非一個新的構思。耶穌在馬太福音廿八章說道:去教導萬民作門徒,給他們施洗,然後再教導他們 。



請為連接宿舍和迦南樓 (多用途大樓) 之間的通道工程代禱。求神使這個通道能按時完工,或者至少能夠有頂棚蓋使參加聚會者 ─ 特別是在冬天冰雪的日子 ─ 往來於各棟樓層之間既方便又安全。也請為此項工程所需要的約八萬元經費代禱。


  1. 基督工人中心冬令會 將在密蘇里州堪薩斯市的「Crown Center喜來登(堪薩斯市)酒店」(原凱悅酒店)舉行。時間為十二月廿二日晚上開始至廿六日中午結束。報名表已張貼上網(,供下載。網上報名表也已貼在中心網站。欲參加冬令會者,每一個人─ 不論是講員、中心同工、短宣隊員或兒童節目同工 ─ 都必須報名。嚴格截止時間是十二月十八日下午四時正。四時之後網上作業將自動中止。恕不接受逾時報名。英語聚會將分中、高年級及青年組。英語講員有Thomas Chen牧師、James Clark博士、Stephen Tan牧師…等。今年Thomas Chen牧師將帶領十二位由 加州Breakaway 基督教會來的短宣隊前來幫忙青少年及英語的聚會。我們很期盼與他們一起事奉。十八歲以下的青少年必須與至少父母中的一位同來。請代禱,求神傾倒下祂的祝福給每一位參加者。
  2. 十二月門徒訓練營 將於十二月廿六晚至卅一日中午在基督工人中心的營地(Warsaw, MO)舉行。講員林三綱弟兄、林郭慕真師母及賴可中牧師。請為他們代禱。十二月門徒訓練營對於在新學期預備新的校園同工是非常重要的。讚美神,截至十一月廿日,我們已收到107份報名表。看來這次將會成為破記錄的參加人數,同時也提醒我們,講中文的學生來美學習的人數也在持續增加。我們需要在神的國度裡好好地裝備他們,以使他們在校園中服事學生們。歡迎您來參加冬令會及門徒訓練營兩個聚會。由於預期會有大批報名者,您需要即早報名。嚴格報名截止時間為十二月十八日晚上十一時五十九分。請在截止時間之前報名。恕不接受逾時報名。由於我們必須在前往堪薩斯城預備冬令會之前將報名手續處理好,因此請勿遲延。
  3. 一月讀經營 十一月十五日報名截止,共有104位弟兄姐妹報名參加讀經營。目前他們都在努力研讀,要在十二月十五日前完成並繳交指定作業。這次我們將研讀猶太人的被擄與歸回。包括耶利米、以西結、但以理、哈該、撒迦利亞及瑪拉基、以斯拉、尼希米和以斯帖等書。這些書卷都非常有意思,並且能應用在我們日常生活,及幫助我們屬靈成長。若您錯過一月讀經營,下一次參加讀經營的機會是2012年七月廿九日至八月四日。屆時我們將研讀「基督生平」。請您也在禱告中記念這次的讀經營聚會,叫參加者都藉著神的話被建立起來。

Attached: molecular data
=====
One molecule with the formula C5H5NO. Source: OMol25; level of theory: ωB97M-V/def2-TZVPD.

XYZ file:
```
12
Properties=species:S:1:pos:R:3:forces:R:3
N 0.4755 -1.9642 -1.6208 0.01 0.60 0.07
C 0.5182 -0.7532 -1.4167 -0.01 -0.32 -0.01
C 0.6482 0.5067 -1.0784 -0.02 -0.19 -0.11
C 0.6613 0.8549 0.4030 0.08 0.00 0.06
C -0.7073 0.7202 1.0463 -0.13 -0.13 0.07
C -1.1549 -0.4283 1.5024 -0.22 -0.54 0.31
O -1.5409 -1.4527 1.9163 0.34 0.87 -0.33
H -0.4699 -2.3488 -1.6262 0.06 0.00 -0.08
H 0.6259 1.2795 -1.8392 0.03 -0.14 0.09
H 1.3836 0.2203 0.9274 -0.12 0.07 -0.08
H 1.0092 1.8829 0.5352 -0.06 -0.15 -0.04
H -1.4230 1.5324 0.9946 0.02 -0.10 0.05
```
Forces are in eV/Å.

Summary:
- F_max (hartree/bohr) = 0.019
- relative energy (zero: lowest compared OMol25 entry of this formula, charge and spin) (eV) = 2.2674
- E_LUMO (eV) = 0.69
- net charge = 0
- Kohn-Sham gap (eV) = 9.40
- total energy (eV) = -8801.1517
- SMILES string = N=C=CCC=C=O
- HOMO (eV) = -8.701

---

One molecule with the formula C4H8N2O. Source: OMol25; level of theory: ωB97M-V/def2-TZVPD.

XYZ file:
```
15
Properties=species:S:1:pos:R:3:forces:R:3
H 1.1561 1.8002 -1.5107 -0.30 -0.24 -0.18
N 1.4941 1.5840 -0.5792 0.25 0.83 -0.03
C 0.7882 0.7730 0.0621 0.72 -2.05 1.59
C 1.2476 0.2955 1.4545 0.27 1.24 -0.36
C -0.2960 -0.1177 -0.4160 -0.78 0.19 -1.72
C -0.1228 -0.8714 -1.5115 -0.30 0.36 0.38
N -1.5141 0.0256 0.2521 -0.38 -0.08 0.39
O -2.3953 -1.0918 0.1952 0.45 0.16 -0.18
H 2.1568 0.8444 1.6925 0.04 -0.07 0.12
H 0.5119 0.5367 2.2199 -0.10 -0.11 0.10
H 1.4517 -0.7723 1.4690 -0.15 -0.07 -0.13
H 0.8149 -0.8750 -2.0314 0.28 0.08 -0.04
H -0.9254 -1.4453 -1.9415 -0.07 -0.30 0.15
H -1.4254 0.2661 1.2371 -0.07 -0.18 -0.34
H -2.9424 -0.9519 -0.5920 0.14 0.22 0.24
```
Forces are in eV/Å.

Summary:
- F_max (hartree/bohr) = 0.052
- relative energy (zero: lowest compared OMol25 entry of this formula, charge and spin) (eV) = 3.6999
- E_LUMO (eV) = 0.83
- net charge = 0
- Kohn-Sham gap (eV) = 9.60
- total energy (eV) = -9302.6933
- SMILES string = [H]/N=C(/C)C(=C)NO
- HOMO (eV) = -8.765

~~~~~

33
Properties=species:S:1:pos:R:3:forces:R:3 method="wB97M-V/def2-TZVPD" e_lumo_ev="-6.488 / -11.238" charge=+2 spin_multiplicity=5 s2=6.03 orbital_gap_ha="0.2247 / 0.1981" homo_energy_ev="-12.601 / -16.627"
O 0.309237 -3.915497 0.006722 1.84 1.98 -0.67
C 0.879444 -2.936428 -0.181707 -4.37 -4.56 1.59
Rh 1.823603 -1.376003 -0.496829 4.00 -2.22 -2.51
C 2.865902 0.128010 -0.855278 2.15 5.79 -0.65
O 3.506406 1.050547 -1.075688 -0.96 -2.41 0.29
C 3.443570 -2.546069 -1.228592 -2.42 -2.65 0.34
O 4.519699 -2.116695 -1.554798 2.69 1.56 -0.71
C 1.307846 -1.419035 -2.276003 -1.76 -0.28 -4.97
O 0.961748 -1.456551 -3.371589 1.10 -0.19 1.92
C 2.716627 -1.587769 1.112948 2.08 -0.55 4.91
O 3.245695 -1.728756 2.123587 -0.61 0.11 -1.84
H 3.246835 -3.641989 -1.303605 0.02 0.52 0.12
C -0.597235 0.735766 2.935920 0.68 -0.23 0.43
N -1.276898 1.003490 1.660067 -0.44 0.37 -0.52
C -2.536078 1.731714 1.806003 -0.76 0.29 0.77
=====

謝謝您忠心的代禱。盼望在冬季的各項聚會中見到您! 在結束這封信之前,請您為下列事項代禱!

  1. 為冬季每一個聚會之前與之後有好天氣,以利交通代禱。
  2. 為同工們的準備工作代禱。
  3. 為三個聚會的每一位講員代禱。
  4. 為在冬令會中服事的短宣隊代禱。
  5. 為有更多慕道友能來參加冬令會並將他們的心歸給神代禱。
  6. 為在冬令會中服事的義工們代禱。
  7. 為基督工人中心與新的喜來登酒店的管理部門人員有良好的關係和溝通代禱。
  8. 為門徒訓練營和讀經營代禱。

謝謝您! 上帝祝福您!






Dear Brothers and Sisters in the Lord,

Unbelievable! It is almost the end of the year 2011. This will be the last prayer letter we will send to you this year. It is God’s blessed hands which lift up our daily lives and daily ministry. Thank God for His blessing throughout the whole year!

In the last two months, God has given me many opportunities to share in many campuses about the importance of helping young Chinese students become disciples of Christ, so that they in turn can carry out the campus ministry and expand the Kingdom of God. In this note I also would share with you the importance of equipping students to serve:

  • It is much easier for students to reach out to their fellow students than for most outsiders.
  • Students like to team up together.
  • Students have a greater effect on other students than most outsiders.
  • Student ministry transforms lives.

Many campus ministries put too much emphasis on how many people attended the meetings, measuring success by numbers. However, for a successful campus ministry, it is better to put more emphasis on its quality. We first need to edify people to be disciples of Christ, with good spiritual quality, and train them to serve the Lord. This is the best long-term effective way to do student ministry. The following methods will help develop students be good-quality coworkers on campus:

  1. Have a goal and plan to develop students become effective coworkers within two years.
  2. Share to students the Lordship of Christ at the same time they accept Christ as their Savior.
  3. Develop students as disciples and coworkers through a disciple-making, pre-baptism class.
  4. During school sessions, continue to develop students as disciples and coworkers through training programs via the local churches and Bible studies.
  5. During college recesses, further develop students as disciples and coworkers through intensive Discipleship Training camps.

Discipleship training as an up-front and continuing practice is hardly a new idea. Jesus said in Matthew 28 to go teach people to be disciples, baptize them, and teach them again.

Students stay on campus only a few years. We have to use all the above five methods together to edify them to live and serve Christ on their campuses. Thank God! After sharing these five steps of equipping students to serve Christ on their campus, during the last few months, many campuses have decided to encourage their students to come for the Discipleship Training camps during this coming December. Some of them will drive to CWC for over 15 hours from Ohio, Texas, and New Mexico. Please pray for them and pray for the training camp that will impact many changing lives and bring revival to many campuses.

(Please click here to down load the article, in Chinese, for The Five Steps of Building Student Coworkers.)

........
Record 1
Here is a 2-piece molecular cluster, CH3FOS overall in a non-equilibrium geometry from OMol25. Energies are from ωB97M-V/def2-TZVPD.

```
7
Properties=species:S:1:pos:R:3:forces:R:3:nbo_charge:R:1
C -0.918 -0.116 -0.016 0.267 0.816 4.815 -0.82
O 1.633 0.145 0.589 -0.005 0.340 0.800 -0.45
F 2.333 0.894 -0.733 -0.262 -0.322 -0.271 -0.32
S 0.616 -0.952 0.311 0.505 -0.419 -0.456 0.86
H -1.484 -0.719 -0.580 -2.023 -2.368 -2.360 0.22
H -0.644 0.736 -0.561 0.013 1.597 -0.404 0.26
H -1.537 0.011 0.991 1.507 0.356 -2.125 0.24
```
Positions in Å, forces in eV/Å.

## Properties
HOMO-LUMO gap (alpha / beta) = 9.0 / 9.0 eV
HOMO level (alpha / beta) = -10.50 / -10.02 eV
Multiplicity = 1
Electronic energy = -613.0317 a.u.



Record 2
Here is CH3FOS in the gas phase in a non-equilibrium geometry from OMol25. Energies are from ωB97M-V/def2-TZVPD.

```
7
Properties=species:S:1:pos:R:3:forces:R:3:nbo_charge:R:1
F -1.056 -0.257 0.938 -0.074 0.628 -1.000 -0.35
C -0.199 -0.731 -0.022 2.166 0.182 -0.578 0.31
O 1.146 -0.050 0.148 -1.943 -1.182 0.105 -0.69
S 1.093 1.604 -0.165 -1.259 -0.578 1.536 0.28
H -0.387 -0.538 -1.141 -0.845 -0.042 1.954 0.17
H -0.181 -1.822 0.250 0.954 1.022 -0.681 0.17
H 0.278 1.905 0.960 1.001 -0.030 -1.337 0.11
```
Positions in Å, forces in eV/Å.

## Properties
HOMO-LUMO gap = 10.0 eV
HOMO level = -9.41 eV
Multiplicity = 1
Electronic energy = -613.1308 a.u.



Record 3
Here is a 2-piece molecular cluster, CH3I2N2 overall in a non-equilibrium geometry from OMol25. Energies are from ωB97M-V/def2-TZVPD.

```
8
Properties=species:S:1:pos:R:3:forces:R:3:nbo_charge:R:1
C -1.183 0.093 0.830 2.064 -0.356 -0.948 0.22
N -2.193 0.199 1.345 -3.902 0.735 1.613 -0.66
N 1.518 0.173 -0.689 -0.656 -1.163 1.133 -1.04
I 5.365 -0.627 -0.055 -0.462 -0.115 -0.286 0.18
I 3.165 0.866 0.229 -1.374 0.172 -0.165 0.95
H 1.020 0.830 -1.277 0.795 0.611 -0.390 0.41
H -3.153 0.387 1.728 1.892 -0.458 -0.679 0.48
H 0.731 -0.203 -0.056 1.643 0.574 -0.278 0.45
```
Positions in Å, forces in eV/Å.

## Properties
HOMO-LUMO gap = 7.5 eV
HOMO level = -14.36 eV
Multiplicity = 1
Total charge = +1
Electronic energy = -744.4245 a.u.



Record 4
Here is CH3I2O2P as an isolated structure in a non-equilibrium geometry from OMol25. Energies are from ωB97M-V/def2-TZVPD.

```
9
Properties=species:S:1:pos:R:3:forces:R:3:nbo_charge:R:1
C -1.409 -0.017 0.194 1.307 -3.112 -2.590 -0.96
O 0.511 0.347 -1.871 0.003 -0.352 -0.364 -1.01
O 1.102 0.965 0.679 -1.042 -1.256 -1.652 -1.00
P 0.366 -0.010 -0.472 0.633 0.457 4.482 2.00
I 3.032 1.328 0.482 0.212 0.199 -0.010 0.51
I 1.943 -2.372 0.525 -1.440 1.565 -0.925 -0.32
H -1.897 0.641 -0.436 -0.697 1.835 -1.554 0.25
H -1.786 -0.989 -0.226 0.344 0.529 0.550 0.25
H -1.864 0.108 1.126 0.680 0.135 2.063 0.27
```
Positions in Å, forces in eV/Å.

## Properties
HOMO-LUMO gap = 7.5 eV
HOMO level = -9.28 eV
Multiplicity = 1
Electronic energy = -1127.1108 a.u.



Record 5
........
• Here the entry continues:

Please pray for the walkway building project between the dormitories and Canaan Hall, the multipurpose building. Pray that it can be completed on time or at least can be a covered walkway so that this winter brothers and sisters can walk between buildings easily and safely, especially in the snow or freezing rain. Please also pray for the budget need, around $80,000.

Future Meetings:

  1. The CWC Winter Conference, will be held at the “Sheraton Kansas City Hotel in Crown Center” (formerly the Hyatt Regency Hotel) in Kansas City, Missouri this year from the evening of December 22 to noontime of December 26. The application form has already been posted online. Please download it. Online application is also available on the website. Everybody—whether speakers, CWC coworkers, mission team members, or children workers—must register. The strict due date is 4 pm on December 18. After 4 pm, the online resources will be disconnected. Late applications will not be accepted. The English meeting will be divided into Junior, Senior, and Young Adult groups. The English speakers will be Pastor Thomas Chen, Dr. James Clark, Pastor Stephen Tan, and others. This year Pastor Chen will bring a twelve-member short-term mission team from Breakaway Christian Church from California. We are looking forward to their ministry. Youth under 18 years old must come with at least one parent also attending! Please pray for the Conference and plan ahead to come. Currently the CWC coworkers have been busy preparing for the Conference. Please pray for them too. Pray the Lord will shower His great blessings onto those who come to Him.
  2. Discipleship Training will be held at Warsaw, MO from December 26 evening to December 31 noontime, 2011. Our speakers will be Brother and Mrs. Bellman Lin and Rev. Kenny Lai. Please pray for them. December’s Discipleship Training camp is crucial to prepare the new campus workers for the new school year. We praise God. As of November 20 we have received 107 application forms. This is shaping up to be a record attendance and reminds us that increasing numbers of Chinese-speaking students have come to the US to study. We need to train them well in God’s Kingdom so that they also can minister to students. We welcome you to attend both Winter Conference and the Discipleship Training. But especially in view of the large initial registrations, you need to apply early. The strict due date is 11:59 pm Dec.18. We can not accept any application after this time. We must process applications before we head to Kansas City for the Winter Conference. So, please do not delay.
  3. January Bible Camp – As of the November 15 due date, 104 people applied for the Bible Camp. Right now they are all studying so they will turn in their assigned home work before Dec. 15. This time we will study the books concerning the captivity and return of the Jews: Jeremiah, Ezekiel, Daniel, Haggai, Zechariah and Malachi, Ezra, Nehemiah and Esther. They are all very interesting books and can apply to our daily lives and help our spiritual growing. If you miss this January Bible Camp, the next chance to join us will be held from July 29 to August 4, 2012. At that time, we will study the “Life of Christ”. Please remember this Camp in your prayers so that the attendees can be edified through God’s Words.

Thank you for your faithful prayers. See you soon in all the winter meetings! Before I finish this letter, I ask you to pray!

  1. Pray for good weather for traveling before and after each meeting in this winter season.
  2. Pray for the preparation work of all the coworkers.
  3. Pray for all the speakers for all three camps.
  4. Pray for the mission teams for the Winter Conference.
  5. Pray that more nonbelievers will come to the Winter Conference and turn their hearts to God.
  6. Pray for all the voluntary coworkers serving in the Winter Conference.
  7. Pray for a good relationship and understanding between us and the new Sheraton Hotel managers and staff.
  8. Pray for the Discipleship and Coworkers Training Camp, and the Bible Camp.

Thank you and God bless you.

In Him,

Billy Ko
